An Overview of Lysosomal Storage Disorders

Lysosomes are organelles within the cell that contain hydrolytic enzymes which digest waste material within the cell. They occur in almost all eukaryotic cells. There are more than 40 different enzymes in a lysosome, each critical to the removal of specific waste products. Unfortunately, when there is a malfunction in this system, the undigested or partially digested macromolecules accumulate within the cell, disrupting function and often causing disease. These illnesses are known as lysosomal storage diseases.

They are genetic in nature and are the result of a recessive gene, which means that both parents must carry the gene for the disease. If a patient is diagnosed with a lysosomal storage disease, the rest of the family should be tested as well. Although none of them may be affected, they may be carriers of the gene involved and should be advised about risks of passing it on to their offspring if they choose to have children.

Traditionally, lysosomal storage disorders have been defined as lysosomal hydrolase enzyme deficiencies. More recently, this has been expanded to include deficiencies or defects of proteins required for post-translational modification of lysosomal enzymes, activator proteins or proteins important to correct intracellular movement between the lysosome and other intracellular compartments.

### These calculated crystals were left in the article by mistake
Diffraction record for LaFe2SO. The PXRD pattern is computed, not measured: it uses DFT lattice parameters and positions (GGA+U) and copper Kα.
Lines closer than 0.1° are merged.

Atomic structure:
```
data_LaFe2SO
_cell_length_a 6.492
_cell_length_b 6.492
_cell_length_c 5.271
_cell_angle_alpha 90.00
_cell_angle_beta 90.00
_cell_angle_gamma 90.00
_space_group_name_H-M_alt 'P 4/m m m'
_space_group_IT_number 123
_space_group_name_Hall '-P 4 2'
loop_
_atom_site_label
_atom_site_type_symbol
_atom_site_fract_x
_atom_site_fract_y
_atom_site_fract_z
_atom_site_occupancy
La1 La 0.000 0.000 0.000 1
Fe1 Fe 0.000 0.500 0.000 1
S1 S 0.000 0.000 0.500 1
O1 O 0.500 0.500 0.500 1
```
### Here the article continues

There are over 40 different lysosomal storage diseases that have been described. All together they occur in 1 in 7,700 people but individually they are much rarer. The most commonly occurring one is Gaucher’s disease happens to 1 in 57,000 individuals. The rarest is sialidosis which can be found in 1 in 4.2 million patients. Because of the extreme rarity of these diseases and the fact that many are slow to develop, they can be very difficult to accurately diagnose. Additionally, the symptoms can often resemble more common ailments. Making it even more complicated, age of onset and degree of symptom expression can vary widely within a single disease.

(Calculated crystals that have nothing to do with the text)
+++
1.
This entry pairs a crystal structure of Pd6WAu2 with its theoretical X-ray powder pattern. Radiation: Cu Kα (λ = 1.5418 Å). Structure: a structure optimized by DFT (GGA-PBE).
No peak broadening, texture or thermal motion is included.

```
9
Lattice="6.8405 -1.3849 0.0000 6.8405 1.3849 0.0000 -5.2049 0.0000 7.8867" Properties=species:S:1:pos:R:3 pbc="T T T"
Pd -0.6281 0.0000 2.3083
Pd -0.1083 0.0000 4.9616
Pd 3.8529 0.0000 1.6369
Pd 4.6232 0.0000 6.2498
Pd 8.5845 0.0000 2.9252
Pd 9.1042 0.0000 5.5784
W -2.6025 0.0000 3.9434
Au 1.4065 0.0000 0.3577
Au 7.0697 0.0000 7.5290
```

Main lines, sorted by position (10° ≤ 2θ ≤ 80°):
33.28°, rel. 64; 37.95°, rel. 92; 39.03°, rel. 83; 39.28°, rel. 100; 40.40°, rel. 83; 45.55°, rel. 66; 47.87°, rel. 41; 48.45°, rel. 37



2.
This entry pairs a crystal structure of Tb8CeNd4 with its theoretical X-ray powder pattern. Radiation: Cu Kα (λ = 1.5418 Å). Structure: a structure optimized by DFT (GGA-PBE).
No peak broadening, texture or thermal motion is included.

```
13
Lattice="5.5418 3.1996 4.5077 -5.5418 3.1996 4.5077 0.0000 -6.3991 4.5077" Properties=species:S:1:pos:R:3 pbc="T T T"
Tb 0.0000 0.0000 3.2613
Tb 0.0000 -3.3091 5.5856
Tb -2.8658 1.6546 5.5856
Tb -2.8658 -1.6546 7.9375
Tb 2.8658 1.6546 5.5856
Tb 2.8658 -1.6546 7.9375
Tb 0.0000 3.3091 7.9375
Tb 0.0000 0.0000 10.2617
Ce 0.0000 0.0000 6.7615
Nd 0.0000 0.0000 0.0000
Nd -2.7709 -1.5998 4.5077
Nd -2.7709 1.5998 9.0154
Nd 0.0000 3.1996 4.5077
```

Main lines, sorted by position (10° ≤ 2θ ≤ 80°):
19.65°, rel. 12; 22.72°, rel. 9; 32.35°, rel. 100; 46.40°, rel. 18; 57.65°, rel. 28; 57.83°, rel. 9; 76.99°, rel. 8; 77.13°, rel. 8



3.
This entry pairs a crystal structure of Tb6Er2Al with its theoretical X-ray powder pattern. Radiation: Cu Kα (λ = 1.5418 Å). Structure: a structure optimized by DFT (GGA-PBE).
No peak broadening, texture or thermal motion is included.

```
18
Lattice="10.0557 0.0000 0.0000 0.0000 10.1201 0.0000 0.0000 0.0000 5.3242" Properties=species:S:1:pos:R:3 pbc="T T T"
Tb 0.3670 1.8781 0.0000
Tb 1.2600 6.2801 2.6621
Tb 1.8629 9.6653 2.6621
Tb 3.1649 4.6053 0.0000
Tb 3.7678 1.2201 0.0000
Tb 4.6608 6.9382 2.6621
Tb 5.3949 3.1819 2.6621
Tb 6.2879 8.9000 0.0000
Tb 6.8908 5.5148 0.0000
Tb 8.1927 0.4548 2.6621
Tb 8.7956 3.8400 2.6621
Tb 9.6886 8.2419 0.0000
Er 2.1226 2.8454 2.6621
Er 2.9052 7.9055 0.0000
Er 7.1505 2.2146 0.0000
Er 7.9330 7.2746 2.6621
Al 0.0000 5.0600 0.0000
Al 5.0278 0.0000 2.6621
```

Main lines, sorted by position (10° ≤ 2θ ≤ 80°):
25.89°, rel. 34; 31.39°, rel. 83; 31.54°, rel. 100; 31.98°, rel. 58; 32.66°, rel. 71; 32.79°, rel. 53; 33.67°, rel. 70; 47.12°, rel. 40



4.
This entry pairs a crystal structure of Cs2RbPbI5 with its theoretical X-ray powder pattern. Radiation: Cu Kα (λ = 1.5418 Å). Structure: a structure optimized by DFT (GGA-PBE).
No peak broadening, texture or thermal motion is included.

```
9
+++

There are some symptoms that should be considered red flags to a physician. Issues which may indicate a lysosomal storage disease include unusual facial features (particularly an enlarged tongue), cloudy eyes, purplish-blue skin rash, distended or protruding abdomen (possibly due to enlarged organs), muscular weakness or loss of motor skill and skeletal deformities. An enzyme assay test is done using blood, urine or skin. Low levels of an enzyme are indicative of lysosomal storage disease.

There are no cures. Treatment is divided into two basic approaches that are not mutually exclusive. One approach is to treat the symptoms as they arise. This usually involves several specialist as multiple organ systems are often affected. These specialists are overseen by a genetic diseases specialist. The second treatment aims to replace the missing enzyme and correct the underlying issue within the patient.  

Between two parts of the text: records of crystals =
********
(1)
SrCuH4C4O8: simulated X-ray powder pattern (Cu Kα), based on the PBE geometry in the Materials Project.
Kinematic intensities with the Lorentz-polarization factor, no thermal factor.

Crystal structure
```
data_SrCuH4C4O8
_chemical_formula_sum 'Sr2 Cu2 H8 C8 O16'
_cell_length_a 7.3288
_cell_length_b 8.9640
_cell_length_c 7.4039
_cell_angle_alpha 90.00
_cell_angle_beta 92.66
_cell_angle_gamma 90.00
_space_group_name_H-M_alt 'P 1 2/c 1'
_space_group_IT_number 13
_space_group_name_Hall '-P 2yc'
loop_
_atom_site_label
_atom_site_type_symbol
_atom_site_fract_x
_atom_site_fract_y
_atom_site_fract_z
Sr1 Sr 0.0000 0.1772 0.2500
Cu1 Cu 0.5000 0.3882 0.2500
H1 H 0.2779 0.4181 0.8788
H2 H 0.3910 0.1497 0.9833
C1 C 0.2057 0.3700 0.6071
C2 C 0.3089 0.4549 0.7413
O1 O 0.0640 0.3450 0.5178
O2 O 0.3051 0.2431 0.2021
O3 O 0.3201 0.1076 0.0810
O4 O 0.3624 0.2985 0.6248
```

Most intense lines, 2θ from 15° to 90°, by angle:
two_theta, d/Å, I_rel, index
15.56, 5.696, 100, 0 1 1
24.07, 3.698, 20, 0 0 2
26.50, 3.363, 65, 1 2 1
28.33, 3.150, 20, 1 1 -2
28.50, 3.132, 22, 2 1 -1
29.30, 3.048, 17, 1 1 2


(2)
SrCuH4C4O8: simulated X-ray powder pattern (Cu Kα), based on the PBE geometry in the Materials Project.
Kinematic intensities with the Lorentz-polarization factor, no thermal factor.

Crystal structure
```
data_SrCuH4C4O8
_chemical_formula_sum 'Sr2 Cu2 H8 C8 O16'
_cell_length_a 7.5503
_cell_length_b 8.8218
_cell_length_c 7.0561
_cell_angle_alpha 90.00
_cell_angle_beta 100.39
_cell_angle_gamma 90.00
_space_group_name_H-M_alt 'P 1 2/c 1'
_space_group_IT_number 13
_space_group_name_Hall '-P 2yc'
loop_
_atom_site_label
_atom_site_type_symbol
_atom_site_fract_x
_atom_site_fract_y
_atom_site_fract_z
Sr1 Sr 0.0000 0.1376 0.2500
Cu1 Cu 0.5000 0.4025 0.2500
H1 H 0.1636 0.4405 0.7591
H2 H 0.4280 0.1617 0.9286
C1 C 0.2035 0.3997 0.6244
C2 C 0.3189 0.1517 0.0138
O1 O 0.0989 0.3150 0.5150
O2 O 0.1993 0.0515 0.9720
O3 O 0.3197 0.2438 0.1543
O4 O 0.3578 0.4429 0.5913
```

Most intense lines, 2θ from 15° to 90°, by angle:
two_theta, d/Å, I_rel, index
15.60, 5.681, 97, 1 1 0
16.25, 5.455, 82, 0 1 1
27.07, 3.294, 42, 2 1 -1
27.83, 3.206, 100, 1 2 1
28.22, 3.162, 45, 1 1 -2
31.97, 2.799, 36, 2 0 -2


(3)
TlCuHCO4: simulated X-ray powder pattern (Cu Kα), based on the PBE geometry in the Materials Project.
Kinematic intensities with the Lorentz-polarization factor, no thermal factor.

Crystal structure
```
data_TlCuHCO4
_chemical_formula_sum 'Tl6 Cu6 H6 C6 O24'
_cell_length_a 11.1524
_cell_length_b 11.1524
_cell_length_c 6.1008
_cell_angle_alpha 90.00
_cell_angle_beta 90.00
_cell_angle_gamma 120.00
_space_group_name_H-M_alt 'P 63/m'
_space_group_IT_number 176
_space_group_name_Hall '-P 6c'
loop_
_atom_site_label
_atom_site_type_symbol
_atom_site_fract_x
_atom_site_fract_y
_atom_site_fract_z
Tl1 Tl 0.1352 0.2830 0.2500
Cu1 Cu 0.0000 0.5000 0.0000
H1 H 0.1952 0.5867 0.2500
C1 C 0.1938 0.7627 0.7500
O1 O 0.1069 0.5005 0.2500
O2 O 0.1084 0.3922 0.7500
O3 O 0.1469 0.6976 0.5631
```
********

Bone marrow or hematopoietic stem cell transplants involve transplantation of healthy cells into the body in the hope that the new cells will allow the body to produce the deficient enzyme. It has all the normal risks of a transplant and may not be successful even if the patient does not reject the transplanted cells.

Enzyme replacement therapy (ERT) involves intravenous administration of the enzyme allowing the body to process the accumulated waste. This does not address the symptomatic issues or any central nervous system problems. It has been approved for treatment in Europe for patients diagnosed with Gaucher’s disease, Fabry’s disease and mucopolysaccharidosis diseases.

Substrate synthesis inhibition therapy (SSI) involves an oral drug that is aimed at reducing the production and elimination of cellular waste required. This is believed to have some potential for diseases that cause central nervous system problems.

Gaucher’s disease is the most common of the lysosomal storage disorders. There are five types of Gaucher’s; classified as type 1, 2, 3, cardiovascular, and the perinatal lethal form. Type 1 is the most commonly seen variety. It is the non-neuropathic form of the disease and generally involves enlargement of the spleen and liver, anemia, thrombocytopenia, lung disease and bone issues including pain, fractures and arthritis. Types 2 and 3 have neuropathic involvement and exhibit all of the above symptoms as well as seizures, abnormal eye movements and brain damage. Type 2 typically causes life-threatening issues beginning in infancy while type 3 progresses more slowly. The cardiovascular form primarily affects the heart but also causes eye abnormalities, bone disease and mild enlargement of the spleen. The most severe type is the perinatal lethal form which begins causing life-threatening problems in utero. Children born with the perinatal lethal form rarely live more than a few days after birth.

Fabry’s disease causes kidney and heart issues in the patient along with a burning sensation in the hands and feet, difficulty producing sweat (they may not sweat at all) leading to overheating, gastrointestinal issues, headaches, vertigo, cloudy eyes (vision is unaffected) and an increased risk of stroke. Left untreated, people with Fabry’s often have a lifespan of 40 to 50 years.

Tay-Sachs generally appears when the child is three to six months of age. Development typically slows as muscles weaken and motor control is lost. Seizures, vision and hearing loss, paralysis and intellectual disability follow, and affected children often die at a young age.

Pompe disease disables heart and skeletal muscles with often fatal results. There are two forms. In the infantile variety most children die before their first birthday. The late onset type may appear at anywhere from 10 years of age to 60. Over a period of years muscular weakness, respiratory difficulties and eventually respiratory failure occur.

Hurler’s disease is one of the mucopolysaccharidosis (MPS) diseases. It usually begins in children between the ages of three and eight years. Typical symptoms include claw hands, cloudy eyes, deafness, halted growth, abnormal spinal bones, heart valve issues, thick coarse facial features with a low nasal bridge and diminished mental abilities that become progressively worse. ERT can be helpful but most children die young. Bone marrow transplants have also been tried with limited success.

Lysosomal storage diseases are caused by a deficiency or lack of a hydrolytic enzyme in the body. They are genetic in nature and cannot be cured. While current therapies try to ameliorate the lives of patients and treat symptoms, the prognosis is generally bleak and often ends in premature death.